As a queen breeder I get to speak directly with a lot of beekeepers throughout the country. Clearly there are some big changes happening in the industry at the moment, maybe even as big as the changes brought about by the growth of the manuka honey market in the boom times.
Misplaced crystal structures
'''
# 1
Here is crystalline BaNdHo4S8 at its relaxed geometry from Alexandria. Energies are from PBE.

It has space group R3m (No. 160, hexagonal axes), with a = 8.2129 Å, b = 8.2129 Å, c = 20.4875 Å, α = 90.00°, β = 90.00° and γ = 120.00°. The asymmetric unit holds Ba at (0.0000, 0.0000, 0.0000), Nd at (0.0000, 0.0000, 0.3710), Ho at (0.0000, 0.0000, 0.7476), Ho at (0.0045, 0.5023, 0.8734), S at (0.0000, 0.0000, 0.1417), S at (0.0000, 0.0000, 0.6156), S at (0.0128, 0.5064, 0.1279) and S at (0.1879, 0.3757, 0.9464).

---

# 2
Here is crystalline NaNd2TmSe4 at its relaxed geometry from Alexandria. Energies are from PBE.

It has space group P2/m (No. 10), with a = 7.2123 Å, b = 4.1437 Å, c = 7.2437 Å, α = 90.00°, β = 109.00° and γ = 90.00°. The asymmetric unit holds Na at (0.0000, 0.0000, 0.0000), Nd at (0.0000, 0.5000, 0.5000), Nd at (0.5000, 0.0000, 0.5000), Tm at (0.5000, 0.5000, 0.0000), Se at (0.2534, 0.5000, 0.2406) and Se at (0.2590, 0.0000, 0.7661).

---

Energy relative to the elements, uncorrected readings, ordered: -1.957, -1.731 eV/atom
Ρ readings, ordered: 4.99, 6.46 g/cm³

=====

Entry 1:
# PBE BeTcAs2, relaxed
# - M_tot (μB per formula unit) = 0.0
# - DFT formation energy (eV per atom) = -0.01
# - total DFT energy (no corrections) (eV/atom) = -5.8595
data_BeTcAs2
_symmetry_space_group_name_H-M 'P 4 m m'
_symmetry_Int_Tables_number 99
_cell_length_a 3.093
_cell_length_b 3.093
_cell_length_c 6.888
_cell_angle_alpha 90.00
_cell_angle_beta 90.00
_cell_angle_gamma 90.00
loop_
_symmetry_equiv_pos_as_xyz
'x,y,z'
'-y,x,z'
'-x,-y,z'
'y,-x,z'
'-x,y,z'
'y,x,z'
'x,-y,z'
'-y,-x,z'
loop_
_atom_site_label
_atom_site_fract_x
_atom_site_fract_y
_atom_site_fract_z
Be1 0.000 0.000 0.000
Tc1 0.500 0.500 0.166
As1 0.000 0.000 0.360
As2 0.500 0.500 0.796

Entry 2:
# PBE BeTcAs2, relaxed
# - M_tot (μB per formula unit) = 0.0
# - DFT formation energy (eV per atom) = 0.55
# - total DFT energy (no corrections) (eV/atom) = -5.2988
data_BeTcAs2
_symmetry_space_group_name_H-M 'F -4 3 m'
_symmetry_Int_Tables_number 216
_symmetry_space_group_name_Hall 'F -4 2 3'
_cell_length_a 6.154
'''

If you were a casual observer looking from the outside in it might just look like another case of the boom/bust cycle of agriculture and horticulture in New Zealand, and maybe it is just that. When you’re inside the industry and looking to remain in it, things as they currently are can be a bit scary, or at least unsettling.
Over the last few years there has been a cooling in the beekeeping industry and honey prices have come back, in many cases quite significantly. Some beekeepers and companies are doing just fine. Those that are vertically integrated and others who are bulk honey producers and have strong relationships with reliable buyers are still doing ok. Others, who don’t have the strong relationships or access to markets, not so much.
From my conversations with beekeepers of all size and experience it seems that there are a few trends occurring.
Many small beekeepers who run their hives as a sideline to another job and manage, say, 200 hives are decreasing numbers, selling out completely or putting much less time into them. For these beekeepers the appeal of good prices and easy honey sales are gone and the semi-hobby semi-commercial operation isn’t worth the effort and loss of spare time/weekends.
Those in the next size band from 200 to 1000 are adjusting how they do things significantly or getting out completely (often selling hives on sites to larger operators). Most of these operators run fairly flat management structures and seem to be targeting specific honey areas and putting sites in less valuable honey areas on slower rotations. Some are doing other work in the offseason and chasing more multi crop/migrational beekeeping as the price of some non-manuka honey moves back up a bit. Many of these operations still seem to have a lot of honey in sheds from the last two seasons, so things are pretty tight to the extent that some are just hanging on.
When you start getting up over the 1000 hive size those who have stable pipelines to sell honey through retail or buyers seem to be still doing well. The others not so much. At this size many of these businesses were built on the manuka boom and as such often have higher breakeven points, due to their running costs and possible debtors/shareholders/partners to keep happy. For them it’s not just about the bees and the honey crop. Managing cashflow adds additional pressure and some are coping with this better than others.
The big, big guys – generally the beekeeping operations that you see on social media, on the news, selling high-end, high-priced honey – are big and getting bigger. A lot of the growth seems to be through straight acquisitions or partnership deals.
┌──
Compound: NbPbF3
Source: Alexandria
Functional: GGA-PBE
Structure: optimized geometry

Values from the calculation:
V   85.8 Å³/f.u.
Total energy   -5.4849 eV per atom

Cell and atoms, written as CIF:
```
data_NbPbF3
_chemical_formula_sum 'Nb1 Pb1 F3'
_cell_length_a 4.4099
_cell_length_b 4.4099
_cell_length_c 4.4099
_cell_angle_alpha 90.00
_cell_angle_beta 90.00
_cell_angle_gamma 90.00
_space_group_name_H-M_alt 'P m -3 m'
_space_group_IT_number 221
_space_group_name_Hall '-P 4 2 3'
loop_
_atom_site_label
_atom_site_type_symbol
_atom_site_fract_x
_atom_site_fract_y
_atom_site_fract_z
Nb1 Nb 0.0000 0.0000 0.0000
Pb1 Pb 0.5000 0.5000 0.5000
F1 F 0.0000 0.0000 0.5000
```



Compound: La2NbTc2
Source: Alexandria
Functional: GGA-PBE
Structure: optimized geometry

Values from the calculation:
V   116.1 Å³/f.u.
Total energy   -7.9624 eV per atom
DFT formation energy   0.845 eV per formula unit

Cell and atoms, written as CIF:
```
data_La2NbTc2
_chemical_formula_sum 'La4 Nb2 Tc4'
_cell_length_a 6.7316
_cell_length_b 6.7316
_cell_length_c 5.1248
_cell_angle_alpha 90.00
_cell_angle_beta 90.00
_cell_angle_gamma 90.00
_space_group_name_H-M_alt 'P 4/m b m'
_space_group_IT_number 127
_space_group_name_Hall '-P 4 2ab'
loop_
_atom_site_label
_atom_site_type_symbol
_atom_site_fract_x
_atom_site_fract_y
_atom_site_fract_z
La1 La 0.1783 0.3217 0.0000
Nb1 Nb 0.0000 0.0000 0.5000
Tc1 Tc 0.1286 0.6286 0.5000
```



Compound: Re2TcBr
Source: Alexandria
Functional: GGA-PBE
Structure: optimized geometry

Values from the calculation:
V   62.0 Å³/f.u.
Total energy   -8.0928 eV per atom

Cell and atoms, written as CIF:
```
data_Re2TcBr
_chemical_formula_sum 'Re2 Tc1 Br1'
_cell_length_a 4.5822
_cell_length_b 4.5822
_cell_length_c 2.9526
_cell_angle_alpha 90.00
_cell_angle_beta 90.00
_cell_angle_gamma 90.00
_space_group_name_H-M_alt 'P 4/m m m'
_space_group_IT_number 123
_space_group_name_Hall '-P 4 2'
loop_
_atom_site_label
_atom_site_type_symbol
_atom_site_fract_x
_atom_site_fract_y
_atom_site_fract_z
Re1 Re 0.0000 0.5000 0.0000
Tc1 Tc 0.0000 0.0000 0.5000
Br1 Br 0.5000 0.5000 0.5000
```


# 1
DFT (PBE) results for a geometry-optimized TbPm2Pr2 structure.

The structure in CIF format:
```
data_TbPm2Pr2
_cell_length_a 8.709
_cell_length_b 9.830
_cell_length_c 9.066
_cell_angle_alpha 90.00
_cell_angle_beta 112.51
_cell_angle_gamma 90.00
_symmetry_space_group_name_H-M 'C 1 2/c 1'
_symmetry_Int_Tables_number 15
_symmetry_space_group_name_Hall '-C 2yc'
loop_
_atom_site_label
_atom_site_type_symbol
_atom_site_fract_x
_atom_site_fract_y
_atom_site_fract_z
Tb1 Tb 0.000 0.201 0.250
Pm1 Pm 0.000 0.500 0.000
Pm2 Pm 0.250 0.250 0.000
Pr1 Pr 0.160 0.089 0.637
```

## Properties
As for the formation energy from the elements: 223 meV/atom. The polymorph energy (0 for the lowest one) is 210 meV per atom.

***

# 2
DFT (PBE) results for a geometry-optimized TbPmPr2 structure.

The structure in CIF format:
```
data_TbPmPr2
_cell_length_a 3.6650
_cell_length_b 3.6650
_cell_length_c 35.7064
└──
End of the calculated crystals
Across the board it seems there is a significant consolidation going on with the bigger operators buying smaller operations as they exit the industry. This is very similar to what has happened in other ag and hort industries. People who have only known a booming industry with high prices are struggling to adjust to the current climate which may well be around for a while (two to three more years was the expectation of one honey buyer that I recently spoke to).
Interestingly I have been hearing that a lot of established but older beekeepers are also selling up. They were around before the manuka boom, have done well off it, but now seem to be exiting rather than waiting for the industry as a whole to move back up again.
So far so doom and gloom. Offsetting the sales, stress and hard times are a number of younger beekeepers entering or growing businesses in the industry. These beekeepers are now able to go out on their own or build up in size now that hives are more realistically priced and terms of purchase for hives and equipment better. These beekeepers are looking to beekeeping as a lifestyle and long-term career rather than just a paycheck. There seems to be more women entering the industry also.
+++
Here is a relaxed structure of NbInAuSe2S from OQMD via LeMat-Bulk. Energies are from PBE.

Cell: 3.6639 14.5010 9.8892 Å, 90.00 90.00 90.00°
Space group Cmcm (No. 63)
Asymmetric unit:
Nb: 0.0000 0.0000 0.0000
In: 0.0000 0.2568 0.2500
Au: 0.0000 0.4534 0.7500
Se: 0.0000 0.3643 0.5300
S: 0.0000 0.0743 0.7500

Summary:
Total DFT energy (no corrections) ... -4.87 eV per atom

----------

# KSrPrFeO6 (PBE+U, optimized geometry)
data_KSrPrFeO6
_chemical_formula_sum 'K1 Sr1 Pr1 Fe1 O6'
_symmetry_space_group_name_H-M 'P 1'
_symmetry_Int_Tables_number 1
_symmetry_space_group_name_Hall 'P 1'
_cell_length_a 5.924
_cell_length_b 5.924
_cell_length_c 5.924
_cell_angle_alpha 60.00
_cell_angle_beta 60.00
_cell_angle_gamma 60.00
loop_
_atom_site_label
_atom_site_fract_x
_atom_site_fract_y
_atom_site_fract_z
_atom_site_occupancy
K1 0.000 0.000 0.000 1
Sr1 0.500 0.500 0.500 1
Pr1 0.750 0.750 0.750 1
Fe1 0.250 0.250 0.250 1
O1 0.026 0.026 0.474 1
O2 0.026 0.474 0.026 1
O3 0.026 0.474 0.474 1
+++
What our industry will look like at the end of all of this change is anyone’s guess. Hopefully the good beekeepers and businesses can figure out a way to survive the roller coaster ride.
Nick Milne is a third-generation beekeeper and owner-operator of Blue Sky Queen Bees in Nelson.